**Source**
=====
Computed powder diffraction line list of Tb12Sm6Y for copper Kα, from a cell relaxed with GGA-PBE.
Peak positions follow from Bragg's law for the DFT cell and can differ from measured ones.

Principal peaks in the range 2θ from 10° to 90°, low angle first:
d = 3.808 Å, 2θ 23.4, I 12; d = 2.916 Å, 2θ 30.7, I 41; d = 2.862 Å, 2θ 31.3, I 24; d = 2.836 Å, 2θ 31.5, I 100; d = 2.732 Å, 2θ 32.8, I 68; d = 2.698 Å, 2θ 33.2, I 25; d = 2.584 Å, 2θ 34.7, I 15; d = 2.021 Å, 2θ 44.8, I 15; d = 1.667 Å, 2θ 55.1, I 19; d = 1.592 Å, 2θ 57.9, I 13

Structural model:
a b c (Å): 12.0189 12.0189 15.1880
angles (deg): 90.00 90.00 120.00
Space group R-3 (No. 148, hexagonal axes)
Inequivalent atoms, fractional coordinates:
Tb 0.0122 0.8347 0.1911
Tb 0.0439 0.8531 0.4159
Sm 0.0104 0.4214 0.6810
Y 0.0000 0.0000 0.0000

Computed powder diffraction line list of Tb4Sm3Y4 for copper Kα, from a cell relaxed with GGA-PBE.
Peak positions follow from Bragg's law for the DFT cell and can differ from measured ones.

Principal peaks in the range 2θ from 10° to 90°, low angle first:
d = 2.914 Å, 2θ 30.7, I 51; d = 2.854 Å, 2θ 31.3, I 37; d = 2.798 Å, 2θ 32.0, I 100; d = 2.650 Å, 2θ 33.8, I 15; d = 2.037 Å, 2θ 44.5, I 12; d = 1.942 Å, 2θ 46.8, I 12; d = 1.736 Å, 2θ 52.7, I 11; d = 1.637 Å, 2θ 56.2, I 23; d = 1.498 Å, 2θ 61.9, I 14; d = 1.483 Å, 2θ 62.6, I 13

Structural model:
a b c (Å): 10.6016 5.7087 12.0985
angles (deg): 90.00 90.00 90.00
Space group Amm2 (No. 38)
Inequivalent atoms, fractional coordinates:
Tb 0.0000 0.0000 0.0000
Tb 0.2107 0.0000 0.7977
Tb 0.5000 0.0000 0.9294
Sm 0.0000 0.0000 0.2964
Sm 0.2970 0.0000 0.4454
Y 0.0000 0.0000 0.5952
Y 0.2926 0.0000 0.1416
Y 0.5000 0.0000 0.6589

Computed powder diffraction line list of TbSm3Y4 for copper Kα, from a cell relaxed with GGA-PBE.
Peak positions follow from Bragg's law for the DFT cell and can differ from measured ones.

Principal peaks in the range 2θ from 10° to 90°, low angle first:
d = 5.720 Å, 2θ 15.5, I 14; d = 3.089 Å, 2θ 28.9, I 45; d = 2.907 Å, 2θ 30.8, I 100; d = 2.860 Å, 2θ 31.3, I 45; d = 2.718 Å, 2θ 33.0, I 66; d = 2.098 Å, 2θ 43.1, I 27; d = 1.794 Å, 2θ 50.9, I 17; d = 1.660 Å, 2θ 55.3, I 17; d = 1.577 Å, 2θ 58.5, I 19; d = 1.491 Å, 2θ 62.3, I 27

Structural model:
a b c (Å): 3.4731 6.7524 22.8799
angles (deg): 90.00 90.00 90.00
Space group Immm (No. 71)
Inequivalent atoms, fractional coordinates:
Tb 0.0000 0.0000 0.0000
Sm 0.0000 0.0000 0.2603
Sm 0.0000 0.0000 0.5000
Y 0.0000 0.2544 0.1244

Computed powder diffraction line list of Tb3Sm5Y4 for copper Kα, from a cell relaxed with GGA-PBE.
Peak positions follow from Bragg's law for the DFT cell and can differ from measured ones.

Principal peaks in the range 2θ from 10° to 90°, low angle first:
d = 3.680 Å, 2θ 24.2, I 23; d = 3.110 Å, 2θ 28.7, I 29; d = 3.044 Å, 2θ 29.3, I 30; d = 2.968 Å, 2θ 30.1, I 100; d = 2.882 Å, 2θ 31.0, I 49; d = 2.835 Å, 2θ 31.6, I 43; d = 2.772 Å, 2θ 32.3, I 76; d = 2.740 Å, 2θ 32.7, I 24; d = 2.674 Å, 2θ 33.5, I 70; d = 2.068 Å, 2θ 43.8, I 39

Structural model:
a b c (Å): 16.2431 5.9364 9.3580
angles (deg): 90.00 116.84 90.00
Space group C2/m (No. 12)
Inequivalent atoms, fractional coordinates:
Tb 0.0000 0.0000 0.0000
Tb 0.2087 0.5000 0.2302
Sm 0.0000 0.5000 0.0000
Sm 0.0760 0.0000 0.7001
Sm 0.1735 0.0000 0.3854
Y 0.0803 0.5000 0.4381
Y 0.2139 0.5000 0.8783

Computed powder diffraction line list of Tb2Sm9Y for copper Kα, from a cell relaxed with GGA-PBE.
Peak positions follow from Bragg's law for the DFT cell and can differ from measured ones.

Principal peaks in the range 2θ from 10° to 90°, low angle first:
d = 2.949 Å, 2θ 30.3, I 100; d = 2.554 Å, 2θ 35.1, I 51; d = 1.806 Å, 2θ 50.5, I 36; d = 1.540 Å, 2θ 60.1, I 43; d = 1.475 Å, 2θ 63.0, I 12; d = 1.277 Å, 2θ 74.3, I 6; d = 1.172 Å, 2θ 82.3, I 18; d = 1.142 Å, 2θ 84.9, I 16

Structural model:
a b c (Å): 5.1083 5.1083 15.3208
angles (deg): 90.00 90.00 90.00
Space group P4/mmm (No. 123)
Inequivalent atoms, fractional coordinates:
Tb 0.0000 0.0000 0.1667
=====

**Job**
The reader should echo everything further up without altering anything.

**Written answer**
Computed powder diffraction line list of Tb12Sm6Y for copper Kα, from a cell relaxed with GGA-PBE.
Peak positions follow from Bragg's law for the DFT cell and can differ from measured ones.

Principal peaks in the range 2θ from 10° to 90°, low angle first:
d = 3.808 Å, 2θ 23.4, I 12; d = 2.916 Å, 2θ 30.7, I 41; d = 2.862 Å, 2θ 31.3, I 24; d = 2.836 Å, 2θ 31.5, I 100; d = 2.732 Å, 2θ 32.8, I 68; d = 2.698 Å, 2θ 33.2, I 25; d = 2.584 Å, 2θ 34.7, I 15; d = 2.021 Å, 2θ 44.8, I 15; d = 1.667 Å, 2θ 55.1, I 19; d = 1.592 Å, 2θ 57.9, I 13

Structural model:
a b c (Å): 12.0189 12.0189 15.1880
angles (deg): 90.00 90.00 120.00
Space group R-3 (No. 148, hexagonal axes)
Inequivalent atoms, fractional coordinates:
Tb 0.0122 0.8347 0.1911
Tb 0.0439 0.8531 0.4159
Sm 0.0104 0.4214 0.6810
Y 0.0000 0.0000 0.0000

Computed powder diffraction line list of Tb4Sm3Y4 for copper Kα, from a cell relaxed with GGA-PBE.
Peak positions follow from Bragg's law for the DFT cell and can differ from measured ones.

Principal peaks in the range 2θ from 10° to 90°, low angle first:
d = 2.914 Å, 2θ 30.7, I 51; d = 2.854 Å, 2θ 31.3, I 37; d = 2.798 Å, 2θ 32.0, I 100; d = 2.650 Å, 2θ 33.8, I 15; d = 2.037 Å, 2θ 44.5, I 12; d = 1.942 Å, 2θ 46.8, I 12; d = 1.736 Å, 2θ 52.7, I 11; d = 1.637 Å, 2θ 56.2, I 23; d = 1.498 Å, 2θ 61.9, I 14; d = 1.483 Å, 2θ 62.6, I 13

Structural model:
a b c (Å): 10.6016 5.7087 12.0985
angles (deg): 90.00 90.00 90.00
Space group Amm2 (No. 38)
Inequivalent atoms, fractional coordinates:
Tb 0.0000 0.0000 0.0000
Tb 0.2107 0.0000 0.7977
Tb 0.5000 0.0000 0.9294
Sm 0.0000 0.0000 0.2964
Sm 0.2970 0.0000 0.4454
Y 0.0000 0.0000 0.5952
Y 0.2926 0.0000 0.1416
Y 0.5000 0.0000 0.6589

Computed powder diffraction line list of TbSm3Y4 for copper Kα, from a cell relaxed with GGA-PBE.
Peak positions follow from Bragg's law for the DFT cell and can differ from measured ones.

Principal peaks in the range 2θ from 10° to 90°, low angle first:
d = 5.720 Å, 2θ 15.5, I 14; d = 3.089 Å, 2θ 28.9, I 45; d = 2.907 Å, 2θ 30.8, I 100; d = 2.860 Å, 2θ 31.3, I 45; d = 2.718 Å, 2θ 33.0, I 66; d = 2.098 Å, 2θ 43.1, I 27; d = 1.794 Å, 2θ 50.9, I 17; d = 1.660 Å, 2θ 55.3, I 17; d = 1.577 Å, 2θ 58.5, I 19; d = 1.491 Å, 2θ 62.3, I 27

Structural model:
a b c (Å): 3.4731 6.7524 22.8799
angles (deg): 90.00 90.00 90.00
Space group Immm (No. 71)
Inequivalent atoms, fractional coordinates:
Tb 0.0000 0.0000 0.0000
Sm 0.0000 0.0000 0.2603
Sm 0.0000 0.0000 0.5000
Y 0.0000 0.2544 0.1244

Computed powder diffraction line list of Tb3Sm5Y4 for copper Kα, from a cell relaxed with GGA-PBE.
Peak positions follow from Bragg's law for the DFT cell and can differ from measured ones.

Principal peaks in the range 2θ from 10° to 90°, low angle first:
d = 3.680 Å, 2θ 24.2, I 23; d = 3.110 Å, 2θ 28.7, I 29; d = 3.044 Å, 2θ 29.3, I 30; d = 2.968 Å, 2θ 30.1, I 100; d = 2.882 Å, 2θ 31.0, I 49; d = 2.835 Å, 2θ 31.6, I 43; d = 2.772 Å, 2θ 32.3, I 76; d = 2.740 Å, 2θ 32.7, I 24; d = 2.674 Å, 2θ 33.5, I 70; d = 2.068 Å, 2θ 43.8, I 39

Structural model:
a b c (Å): 16.2431 5.9364 9.3580
angles (deg): 90.00 116.84 90.00
Space group C2/m (No. 12)
Inequivalent atoms, fractional coordinates:
Tb 0.0000 0.0000 0.0000
Tb 0.2087 0.5000 0.2302
Sm 0.0000 0.5000 0.0000
Sm 0.0760 0.0000 0.7001
Sm 0.1735 0.0000 0.3854
Y 0.0803 0.5000 0.4381
Y 0.2139 0.5000 0.8783

Computed powder diffraction line list of Tb2Sm9Y for copper Kα, from a cell relaxed with GGA-PBE.
Peak positions follow from Bragg's law for the DFT cell and can differ from measured ones.

Principal peaks in the range 2θ from 10° to 90°, low angle first:
d = 2.949 Å, 2θ 30.3, I 100; d = 2.554 Å, 2θ 35.1, I 51; d = 1.806 Å, 2θ 50.5, I 36; d = 1.540 Å, 2θ 60.1, I 43; d = 1.475 Å, 2θ 63.0, I 12; d = 1.277 Å, 2θ 74.3, I 6; d = 1.172 Å, 2θ 82.3, I 18; d = 1.142 Å, 2θ 84.9, I 16

Structural model:
a b c (Å): 5.1083 5.1083 15.3208
angles (deg): 90.00 90.00 90.00
Space group P4/mmm (No. 123)
Inequivalent atoms, fractional coordinates:
Tb 0.0000 0.0000 0.1667